Wednesday, November 14, 2012

Attached: materials data:
# PBE+U Na5MnHO4, optimized geometry
data_Na5MnHO4
_chemical_formula_sum 'Na40 Mn8 H8 O32'
_space_group_name_H-M_alt 'P n m a'
_space_group_IT_number 62
_cell_length_a 10.0963
_cell_length_b 10.3610
_cell_length_c 12.1489
_cell_angle_alpha 90.00
_cell_angle_beta 90.00
_cell_angle_gamma 90.00
loop_
_space_group_symop_operation_xyz
'x,y,z'
'-x,-y,-z'
'-x+1/2,-y,z+1/2'
'x+1/2,y,-z+1/2'
'x+1/2,-y+1/2,-z+1/2'
'-x+1/2,y+1/2,z+1/2'
'-x,y+1/2,-z'
'x,-y+1/2,z'
loop_
_atom_site_label
_atom_site_fract_x
_atom_site_fract_y
_atom_site_fract_z
_atom_site_occupancy
Na1 0.0108 0.0878 0.2089 1
Na2 0.0700 0.0634 0.5827 1
Na3 0.0808 0.7500 0.5538 1
Na4 0.1178 0.2500 0.0170 1
Na5 0.1235 0.5639 0.0092 1
Na6 0.2160 0.5768 0.3297 1
Mn1 0.0123 0.2500 0.7932 1
Mn2 0.2039 0.2500 0.3749 1
H1 0.2319 0.6255 0.6887 1
O1 0.0621 0.7500 0.3574 1
O2 0.0643 0.0934 0.8783 1
O3 0.0908 0.0935 0.3916 1
O4 0.1009 0.7500 0.8875 1
O5 0.2428 0.0798 0.1212 1
# Formation energy: -1.5636 eV/atom


Na3C2O8 (PBE, optimized geometry); VASP energy = -6.04 eV/atom; V = 387 Å³/cell; energy of formation from the pure elements = -17.75 eV/f.u.; E above lowest polymorph = 0.0 meV/atom
1.0
6.6924 -8.8107 -3.3966
7.3762 -6.4503 -6.1593
8.5880 1.8058 3.6686
O Na C
16 6 4
Cartesian
10.6075 -7.7909 -4.9870
8.0195 -5.6547 -3.8025
12.5968 -6.8761 -4.5181
7.8159 -9.4594 -4.3855
5.9842 -4.9951 -3.1296
11.9273 -1.9456 0.5930
15.2160 -9.9416 -5.4244
14.6372 -7.8004 -2.0848
12.0491 -5.6642 -0.9003
16.6724 -8.4600 -2.7577
10.0598 -6.5790 -1.3692
10.7293 -11.5095 -6.4803
14.8407 -3.9957 -1.5018
7.4407 -3.5135 -0.4629
12.4733 -9.0355 -4.9752
10.1834 -4.4196 -0.9121
8.9774 -7.8827 -3.0372
12.6676 -4.4679 0.9972
13.8190 -9.6858 -3.1757
13.6792 -5.5724 -2.8501
9.9890 -8.9872 -6.8845
8.8376 -3.7693 -2.7116
15.8940 -7.9536 -1.8584
10.7796 -5.5551 -1.0752
11.8771 -7.9000 -4.8121
6.7627 -5.5015 -4.0289

Anti-Gay Legislation and the Real-Life Families of Gay Parents: A Case from North Carolina

I said yesterday I had a story to share.  And so this morning, I'd like to tell it:

My friend Mollie* has a niece living in North Carolina who is married to another woman.  The couple cannot legally marry in the state of North Carolina.  But one of the two women is the daughter of an Episcopal minister, and he solemnized their marriage.

Mollie's niece Julia and her wife Sally chose North Carolina as a place to live because it's homelike to them, since Julia grew up in Tennessee and Sally in Virginia.  It also has a section of counties known for their high educational levels and general tolerance and affirmation of LGBT human beings, the research triangle region in which they live.

Julia teaches at a church-affiliated college known for its commitment to social justice and support for gay rights.  Sally is also a teacher, in whatever is the equivalent of a charter school (the term we use in Arkansas) in North Carolina.  Like Julia, she enjoys strong support among her colleagues.

Several years ago, the couple had a son.  Julia bore the baby via artificial insemination.  A year or so ago, they chose to have another child, a daughter, with the father of their first child as the father of the second.

Under North Carolina law, both children belong legally to Julia.  When the son was born, Julia and Sally were concerned that Sally adopt him, so that she had legal rights to make decisions about his healthcare and about all sorts of other matters, in cases where these decisions might have to be made.  North Carolina law permitted this to happen, and the adoption occurred without a hitch.

Then came the 2010 elections in which many parts of the South, including North Carolina, roiled by the election of a black president in 2008, swept into office a ragbag lot of religious-right activists calling themselves tea partiers. The composition of the North Carolina legislature changed, and preposterous legislation like the legislation decreeing that the seas cannot rise off the coast of the state came down the pike.

As did the constitutional amendment the state passed this past May, inscribing anti-gay prejudice in the state constitution (see here, here, here, here, herehere, and here).

And the upshot of the religious-right-as-tea-party takeover of the North Carolina legislature, as far as Julia and Sally are concerned?  After the birth of their daughter, when Sally tried to adopt the daughter as she had previously adopted the daughter's brother, she and Julia suddenly discovered that legislative changes have been made--not to mention the marriage amendment--that now outlaw Julia's attempt to adopt her son's sister, her wife's daughter.

She has legal adoption rights for one of the family's two children.  She is denied legal adoption rights for the other of the two children.  As they are fully aware, this sets them up for serious problems if the daughter suddenly becomes ill and Julia, who alone now has legal right to make medical decisions on behalf of their daughter, happens to be away from home or incapacitated at the time.  Or if something should, God forbid, happen to Julia, leaving Sally to raise the two children . . . .  

And why tell this story?  I think it's important for people to hear it because we often talk about gay marriage and gay families as if we're talking about abstractions and principles removed from real life.  But these abstractions and principles--and the social attitudes and legislation in which they result--affect real people and real human lives.

And they sometimes cause intense suffering to real human beings.  To parents struggling to do their best for their children.  To people faced with heart-breaking choices about whether to pull up stakes and try to find a more humane place in which to live, when the laws of their community or state suddenly shift in a way that informs them that they and their children are no longer fully welcome.

After I heard this story, I suggested to a friend of mine in North Carolina that someone or some group should start a website with the title, "Thinking of Moving to North Carolina?  Think Again."  That website could chronicle stories like Julia's and Sally's, so that educated, creative people, who characteristically choose to relocate to places in which prejudice and discrimination don't rule the roost, can know precisely what they're getting into if they consider North Carolina for their new home.

And so that gay and lesbian people and families headed by same-sex parents can know the kinds of frightening legal complications that may well ensue for them in a state that has chosen to inscribe anti-gay prejudice in its constitution and has elected a legislature full of bigots who claim God and the bible as the warrant for their bigotry--as my state of Arkansas just did in the 2012 elections.

*I've altered the names of principals in this story solely because the friend who shared it with me didn't explicitly authorize me to re-tell it, though she also didn't ask me not to repeat her story to anyone else.  In re-telling her story, I also do not want to create any difficulties for her niece and her niece's wife and children--and this is another reason I've shifted their names.

The graphic: a tweet from Rev. Bryan Fischer, head of the American Family Association, in August calling for an "Underground Railroad" to kidnap children from households of gay parents.